Data Retention Process: 2-Years for Courses and Videos

As of January 1, 2023, NIC is instituting a 2-year Brightspace course and Kaltura video retention process to protect and streamline course and student data as well as provide organized and efficient collections of courses and videos. This also applies to BlueJeans recordings of online classes.

The entry is interrupted by crystal structures:
- - -
Record 1
Starting from a cell relaxed with GGA+U, the powder XRD pattern of Li3MnPCO7 was simulated for copper Kα.
Lines closer than 0.1° are merged.

Crystal structure
Lattice parameters (Å, degrees): 9.567 6.480 9.835 90.00 116.17 90.00
Fractional coordinates of all 52 atoms:
Li (0.103, 0.247, 0.188)
Li (0.103, 0.253, 0.688)
Li (0.285, 0.011, 0.010)
Li (0.285, 0.489, 0.510)
Li (0.353, 0.745, 0.316)
Li (0.353, 0.755, 0.816)
Li (0.647, 0.245, 0.184)
Li (0.647, 0.255, 0.684)
Li (0.715, 0.511, 0.490)
Li (0.715, 0.989, 0.990)
Li (0.897, 0.747, 0.312)
Li (0.897, 0.753, 0.812)
Mn (0.269, 0.001, 0.515)
Mn (0.269, 0.499, 0.015)
Mn (0.731, 0.501, 0.985)
Mn (0.731, 0.999, 0.485)
P (0.407, 0.247, 0.814)
P (0.407, 0.253, 0.314)
P (0.593, 0.747, 0.686)
P (0.593, 0.753, 0.186)
C (0.042, 0.749, 0.123)
C (0.042, 0.751, 0.623)
C (0.958, 0.249, 0.377)
C (0.958, 0.251, 0.877)
O (0.070, 0.738, 0.763)
O (0.070, 0.762, 0.263)
O (0.103, 0.246, 0.484)
O (0.103, 0.254, 0.984)
O (0.154, 0.740, 0.082)
O (0.154, 0.760, 0.582)
O (0.307, 0.060, 0.814)
O (0.307, 0.440, 0.314)
O (0.312, 0.060, 0.320)
O (0.312, 0.440, 0.820)
O (0.422, 0.250, 0.162)
O (0.422, 0.250, 0.662)
O (0.427, 0.745, 0.553)
O (0.427, 0.755, 0.053)
O (0.573, 0.245, 0.947)
O (0.573, 0.255, 0.447)
O (0.578, 0.750, 0.338)
O (0.578, 0.750, 0.838)
O (0.688, 0.560, 0.180)
O (0.688, 0.940, 0.680)
O (0.693, 0.560, 0.686)
O (0.693, 0.940, 0.186)
O (0.846, 0.240, 0.418)
O (0.846, 0.260, 0.918)
O (0.897, 0.746, 0.016)
O (0.897, 0.754, 0.516)
O (0.930, 0.238, 0.737)
O (0.930, 0.262, 0.237)

Most intense lines, 2θ = 15–90°, by angle:
2θ/deg  I_rel
16.97  100
23.13  48
24.40  35
24.88  33
25.64  51
34.69  96
36.67  28
51.03  28

Record 2
Starting from a cell relaxed with GGA+U, the powder XRD pattern of CdCoF5 was simulated for copper Kα.
Lines closer than 0.1° are merged.

Crystal structure
Lattice parameters (Å, degrees): 5.636 5.636 7.919 110.66 110.66 72.76
Fractional coordinates of all 14 atoms:
Cd (0.000, 0.000, 0.000)
Cd (0.000, 0.000, 0.500)
Co (0.485, 0.515, 0.750)
Co (0.515, 0.485, 0.250)
F (0.150, 0.850, 0.750)
F (0.227, 0.335, 0.650)
F (0.308, 0.667, 0.069)
F (0.333, 0.692, 0.431)
F (0.335, 0.227, 0.150)
F (0.665, 0.773, 0.850)
F (0.667, 0.308, 0.569)
F (0.692, 0.333, 0.931)
F (0.773, 0.665, 0.350)
F (0.850, 0.150, 0.250)

Most intense lines, 2θ = 15–90°, by angle:
2θ/deg  I_rel
21.79  85
26.16  100
26.66  39
34.29  38
34.69  17
44.42  21
46.77  29
52.18  42

Record 3
Starting from a cell relaxed with GGA+U, the powder XRD pattern of Li4V2Cr3Sn3O16 was simulated for copper Kα.
Lines closer than 0.1° are merged.

Crystal structure
Lattice parameters (Å, degrees): 6.100 6.100 9.639 90.51 90.51 60.36
Fractional coordinates of all 28 atoms:
Li (0.000, 0.000, 0.000)
Li (0.006, 0.006, 0.489)
Li (0.322, 0.322, 0.386)
Li (0.658, 0.658, 0.897)
V (0.316, 0.316, 0.996)
V (0.654, 0.654, 0.483)
Cr (0.163, 0.163, 0.713)
Cr (0.337, 0.816, 0.214)
Cr (0.816, 0.337, 0.214)
Sn (0.162, 0.655, 0.712)
Sn (0.655, 0.162, 0.712)
- - -
Here the entry continues:

Per a NIC Policy 1-05 NIC is only required to retain student grades, student academic work and teaching/course content for the current year plus 1 year. This refers to Brightspace courses and Kaltura videos. Rolling out a 2-year retention plan is in alignment with other post-secondary institutions.

Keeping our learning technology platforms clean and organized will provide many benefits for both faculty and support staff, along with those who manage and work daily in the technical operations of Brightspace and Kaltura.

This process will also demonstrate responsible management of student data for privacy regulations. It is a responsible post-secondary institution to not house private and sensitive student data, grades, videos, course recordings in BlueJeans and any student-related content for more than 2 years. Notification reminders will be sent to give ample warning.

More Info here:

Brightspace: If you want to keep the contents of older courses you should EXPORT them to Team Shared Drive or work with Master Courses (manual courses) with core content shared by all instructors. All sandboxes and manual courses will not be deleted but owners will be asked to review any courses and notify IT if you want deletions. Export Yourself: Export Video Instructions and Handout

Kaltura: If you want to keep videos you have made but are no longer needing to be hosted on Kaltura, download and save on your One Drive. You have a 1TB of space – tons of room to store videos!

Brightspace Courses: What is Being Deleted and When?

June 2024

  • Fall 2021 Courses
  • Winter 2022 Courses

December 2024

  • Spring/Summer 2022 Courses

March 2025

  • Fall 2022 Courses

June 2025

  • Winter 2023 Courses

December 2025

  • Spring/Summer 2023 Courses

March 2026

  • Fall 2023 Courses

COURSES = those that are linked via registration to Student Information System. This includes all sections and merged enrolled courses.

DOES NOT INCLUDE: Master courses, Sandbox Courses and Manual Hub courses, Discover/Self-Enrol Courses


Kaltura: What is Being Deleted and When?

Fall 2023

These records of crystals were left in the piece by mistake =
/*
Theoretical PXRD pattern of Tb2Y3Ho9 for Cu Ka, from a cell relaxed with PBE.
Neutral-atom scattering factors, no anomalous dispersion.

Atomic structure:
Unit cell a=5.396 b=8.290 c=10.555 alpha=97.34 beta=100.62 gamma=98.35
Positions (direct):
1 Tb 0.000 0.000 0.000
2 Tb 0.043 0.960 0.482
3 Y 0.229 0.573 0.574
4 Y 0.521 0.980 0.241
5 Y 0.814 0.386 0.907
6 Ho 0.002 0.672 0.177
7 Ho 0.041 0.287 0.304
8 Ho 0.193 0.262 0.753
9 Ho 0.413 0.678 0.943
10 Ho 0.430 0.349 0.103
11 Ho 0.522 0.980 0.740
12 Ho 0.613 0.611 0.379
13 Ho 0.630 0.281 0.539
14 Ho 0.851 0.698 0.729

Peak list (8 most intense, 2θ from 10° to 90°, sorted by position)
2θ (°)  I_rel
29.79  18
30.69  28
30.91  59
31.16  100
33.19  33
33.61  21
35.04  27
53.03  17



Theoretical PXRD pattern of Dy5HfZn6 for Cu Ka, from a cell relaxed with PBE.
Neutral-atom scattering factors, no anomalous dispersion.

Atomic structure:
Unit cell a=8.634 b=8.634 c=4.963 alpha=106.64 beta=106.64 gamma=48.04
Positions (direct):
1 Dy 0.000 0.000 0.000
2 Dy 0.163 0.163 0.663
3 Dy 0.326 0.326 0.327
4 Dy 0.674 0.674 0.673
5 Dy 0.837 0.837 0.337
6 Hf 0.500 0.500 0.000
7 Zn 0.107 0.576 0.841
8 Zn 0.279 0.721 0.500
9 Zn 0.424 0.893 0.159
10 Zn 0.576 0.107 0.841
11 Zn 0.721 0.279 0.500
12 Zn 0.893 0.424 0.159

Peak list (8 most intense, 2θ from 10° to 90°, sorted by position)
2θ (°)  I_rel
25.32  23
35.98  20
36.13  100
51.96  14
64.76  13
65.04  21
76.62  8
87.79  10



Theoretical PXRD pattern of Nd5DyHo3 for Cu Ka, from a cell relaxed with PBE.
Neutral-atom scattering factors, no anomalous dispersion.

Atomic structure:
Unit cell a=10.542 b=10.542 c=11.795 alpha=121.46 beta=121.46 gamma=34.74
Positions (direct):
1 Nd 0.029 0.698 0.344
2 Nd 0.097 0.903 0.750
3 Nd 0.146 0.493 0.669
4 Nd 0.302 0.971 0.156
5 Nd 0.493 0.146 0.169
6 Nd 0.507 0.854 0.831
7 Nd 0.698 0.029 0.844
8 Nd 0.854 0.507 0.331
9 Nd 0.903 0.097 0.250
10 Nd 0.971 0.302 0.656
11 Dy 0.393 0.607 0.250
12 Dy 0.607 0.393 0.750
13 Ho 0.107 0.540 0.971
14 Ho 0.460 0.893 0.529
15 Ho 0.500 0.500 0.000
16 Ho 0.500 0.500 0.500
17 Ho 0.540 0.107 0.471
18 Ho 0.893 0.460 0.029

Peak list (8 most intense, 2θ from 10° to 90°, sorted by position)
2θ (°)  I_rel
28.40  90
29.21  94
29.93  71
30.32  58
31.87  100
32.68  57
33.65  98
39.67  43



Theoretical PXRD pattern of NaLa2P2 for Cu Ka, from a cell relaxed with PBE.
Neutral-atom scattering factors, no anomalous dispersion.

Atomic structure:
Unit cell a=8.017 b=8.017 c=3.947 alpha=90.00 beta=90.00 gamma=90.00
Positions (direct):
1 Na 0.000 0.000 0.000
2 Na 0.500 0.500 0.000
3 La 0.149 0.351 0.500
4 La 0.351 0.851 0.500
5 La 0.649 0.149 0.500
6 La 0.851 0.649 0.500
7 P 0.158 0.658 0.000
8 P 0.342 0.158 0.000
9 P 0.658 0.842 0.000
10 P 0.842 0.342 0.000

Peak list (8 most intense, 2θ from 10° to 90°, sorted by position)
2θ (°)  I_rel
15.63  21
22.53  18
24.84  43
27.54  13
33.78  100
35.41  29
59.35  13
67.21  20



Theoretical PXRD pattern of LaCe2Bi2 for Cu Ka, from a cell relaxed with PBE.
*/

  • Reminders to delete Kaltura videos yourself that are not being played, are not required. Notices sent to users with high video collections that are not getting used.

June 2024

  • All videos with NO PLAYS in past 2 years will be permanently deleted

December 2024

  • All videos with NO PLAYS in past 2 years will be permanently deleted